Exercise
Now type out only the lines further down with the word "CO" in them.

Data
Here is one molecule with the formula C5H6ClNO2 in a non-equilibrium geometry from the Open Molecules 2025 dataset. Energies are from ωB97M-V with the def2-TZVPD basis set.

Calculated values
- energy above the lowest of the compared OMol25 structures with the same formula, charge and spin (kJ/mol) = 101.6
- LUMO level (eV) = 0.379
- structure (SMILES) = C[C@@]1(C(=O)Cl)C=NOC1

ORCA input file:
```
! wB97M-V def2-TZVPD RIJCOSX def2/J DEFGRID3
* xyz 0 1
C 0.269 1.575 -0.198
C -0.091 0.091 0.055
C -1.516 -0.190 0.631
O -1.769 -0.741 1.620
Cl -2.758 0.412 -0.531
C -0.141 -0.857 -1.174
N 0.610 -1.843 -1.173
O 1.365 -1.931 -0.020
C 1.132 -0.623 0.758
H -0.531 1.989 -0.668
H 1.169 1.583 -0.755
H 0.239 2.047 0.796
H -0.886 -0.710 -1.847
H 1.994 0.040 0.705
H 0.914 -0.843 1.802
*
```



Here is one molecule with the formula C5H6ClNO2 in a non-equilibrium geometry from the Open Molecules 2025 dataset. Energies are from ωB97M-V with the def2-TZVPD basis set.

Calculated values
- energy above the lowest of the compared OMol25 structures with the same formula, charge and spin (kJ/mol) = 299.2
- LUMO level (eV) = 0.593

ORCA input file:
```
! wB97M-V def2-TZVPD RIJCOSX def2/J DEFGRID3
* xyz 0 1
C 0.988 1.092 0.625
C -0.019 0.472 1.508
C 1.100 0.880 -0.682
C -0.917 -0.435 1.214
C -0.368 -1.074 -0.988
N 0.515 -0.098 -1.441
O -2.023 -0.944 1.626
O -1.359 -1.402 -1.823
Cl 0.536 -2.693 -0.454
H 1.643 1.860 0.956
H -0.061 0.869 2.430
H 1.811 1.640 -1.190
H 0.505 0.270 -2.368
H -1.823 -1.686 2.185
H -1.192 -2.208 -2.314
*
```



Here is a 3-piece molecular cluster, C5H6ClNOS overall in a non-equilibrium geometry from the Open Molecules 2025 dataset. Energies are from ωB97M-V with the def2-TZVPD basis set.

Calculated values
- energy above the lowest of the compared OMol25 structures with the same formula, charge and spin (kJ/mol) = 222.6
- LUMO level (eV) = -0.011

ORCA input file:
```
! wB97M-V def2-TZVPD RIJCOSX def2/J DEFGRID3
* xyz 0 1
C -0.920 -0.241 1.496
C -1.434 0.946 1.912
C -1.095 0.950 -0.453
C -0.778 -0.244 0.099
C -0.284 -1.354 -0.742
N 2.282 -0.132 -1.313
O -0.100 -1.167 -1.899
S -1.586 2.053 0.697
Cl -0.466 -2.925 0.190
H -1.089 -1.120 2.075
H -1.575 1.261 2.950
H -0.872 1.274 -1.496
H 2.412 -0.336 -0.298
H 1.743 0.711 -1.338
H 3.762 0.326 -1.879
*
```



Here is one molecule with the formula C5H6F2N4O in a non-equilibrium geometry from the Open Molecules 2025 dataset. Energies are from ωB97M-V with the def2-TZVPD basis set.

Calculated values
- energy above the lowest of the compared OMol25 structures with the same formula, charge and spin (kJ/mol) = 0.0
- LUMO level (eV) = 0.796
- structure (SMILES) = Cc1cn(C(F)(F)C(N)=O)nn1

ORCA input file:
```
! wB97M-V def2-TZVPD RIJCOSX def2/J DEFGRID3
* xyz 0 1
C -2.509 -0.590 0.349
C -1.122 -0.151 0.210
C -0.077 -1.023 0.185
N 1.019 -0.261 0.025
C 2.334 -0.696 -0.106
F 2.471 -1.256 -1.376
F 2.751 -1.662 0.725
C 3.551 0.613 0.026
N 3.233 1.581 -0.844
O 4.561 0.362 0.572
N 0.691 1.028 0.083
N -0.607 1.063 0.166
H -3.223 0.146 0.912
H -2.963 -0.878 -0.673
H -2.357 -1.474 1.031
H -0.004 -2.081 0.085
H 2.341 1.801 -1.250
H 4.052 2.099 -1.132
*
```



Here is one molecule with the formula C5H6F3NOSi in a non-equilibrium geometry from the Open Molecules 2025 dataset. Energies are from ωB97M-V with the def2-TZVPD basis set.

Calculated values
- LUMO level (eV) = -0.015
- structure (SMILES) = N#CO[SiH2]CCC(F)=C(F)F

ORCA input file:
```
! wB97M-V def2-TZVPD RIJCOSX def2/J DEFGRID3
* xyz 0 1
N 3.095 0.274 2.336
C 2.478 0.253 1.173
O 1.967 0.231 -0.236
Si 0.850 1.584 -0.324
C -1.004 1.104 -0.529
C -1.522 -0.109 0.444
C -0.683 -1.511 0.320
F -0.304 -2.182 1.620
C -0.220 -2.164 -0.936
F -0.396 -1.650 -2.314
F 0.551 -3.456 -0.801
H 1.253 2.371 -1.518
H 1.034 2.368 0.908
H -1.633 2.069 -0.217
H -1.267 0.943 -1.682
H -2.658 -0.344 0.166
H -1.541 0.220 1.591
*
```



Here is C5H6F4MgN as an isolated structure from the Open Molecules 2025 dataset. Energies are from ωB97M-V with the def2-TZVPD basis set.

Reply
- structure (SMILES) = N#CO[SiH2]CCC(F)=C(F)F